Graphic ambiguousness
Interpretations within context
Differences between sources
Editorial revisions
Corrections & alterations
Source & stylistic information
Articulation, Accents, Hairpins
Verbal indications
Shorthand & other

b. 88

composition: Op. 64 No 2, Waltz in C♯ minor

 in A (→FEEEC)

 in GE1op & GE1no2 (→GE2no2)

No sign in EEW1 (→EEW2)

 in GE2op (→GE3op)


The  hairpin, in A and in the majority of the editions placed under the three-note progression of the bass, was moved to between the staves in GE2op (→GE3op). In this case, this quite frequently used revision completely changed the meaning of the sign. In the remaining GE, the sign was reproduced in the correct place, however, it starts already under the 1st crotchet in the bar. The absence of the sign in EEis undoubtedly an oversight.

category imprint: Differences between sources

issues: Inaccuracies in GE , Placement of markings , Scope of dynamic hairpins , Errors in EE , GE revisions

b. 88

composition: Op. 64 No 2, Waltz in C♯ minor



In AI, the bar is identical to bar 72, although As already includes the final version (without the little slur before the group of grace notes). It can indicate Chopin's hesitation, yet it cannot be excluded that resignation from differentiating between the version of both bars is an element of striving for simplicity due to the piano skills of Baroness de Rothschild, who was the addressee of the manuscript. Cf. bar 84.

category imprint: Differences between sources; Corrections & alterations

issues: Chopin's hesitations

b. 89

composition: Op. 64 No 2, Waltz in C♯ minor



Both in As and AI Chopin diversified this bar with respect to the version of bar 73 (differently in each of them). In A (→FEGE,EE), bars 73 and 89 are identical, which, in the face of differences in the previous bars, does not create an impression of homogeneity at all. In turn, the version introduces a clear division between the phrases, absent in the earlier versions.

category imprint: Differences between sources; Corrections & alterations

issues: Main-line changes

b. 89-92

composition: Op. 64 No 2, Waltz in C♯ minor

  in A (→FEEEC,GE1op,GE1no2GE2no2)

  in EEW1 (→EEW2)

  in GE2opGE3op)


In the majority of the editions, the range of hairpin in these bars was reproduced exactly after A (→FE). The only exceptions are EEW1 (→EEW2), in which the  begins only in bar 90, and GE2op (→GE3op), in which the entire sign was moved a crotchet earlier; moreover, the next dynamic hairpin, in bars 91-92, was shortened.

category imprint: Differences between sources

# Inserted here: materials data
........
For CaLaY2, a crystal structure in Alexandria, relaxed with GGA-PBE gives the simulated X-ray diffraction stick pattern in this record (a wavelength of 1.5418 Å).
Kinematic intensities with the Lorentz-polarization factor, no thermal factor.

Structural model:
```
data_CaLaY2
_chemical_formula_sum 'Ca1 La1 Y2'
_symmetry_space_group_name_H-M 'P 4 m m'
_symmetry_Int_Tables_number 99
_symmetry_space_group_name_Hall 'P 4 -2'
_cell_length_a 3.668
_cell_length_b 3.668
_cell_length_c 10.650
_cell_angle_alpha 90.00
_cell_angle_beta 90.00
_cell_angle_gamma 90.00
loop_
_atom_site_label
_atom_site_fract_x
_atom_site_fract_y
_atom_site_fract_z
Ca1 0.000 0.000 0.000
La1 0.500 0.500 0.274
Y1 0.000 0.000 0.515
Y2 0.500 0.500 0.742
```

Top 10 peaks for 2θ from 10° to 90°, by intensity:
29.57 deg, rel. 100, (1 0 2); 34.58 deg, rel. 34, (1 1 0); 58.91 deg, rel. 27, (2 1 2); 49.03 deg, rel. 22, (1 1 4); 33.66 deg, rel. 16, (0 0 4); 49.72 deg, rel. 12, (2 0 0); 57.70 deg, rel. 11, (1 0 6); 61.39 deg, rel. 11, (2 0 4); 79.57 deg, rel. 9, (2 1 6); 35.18 deg, rel. 7, (1 0 3)

---

For Ca4Hg3Bi8, a crystal structure in Alexandria, relaxed with GGA-PBE gives the simulated X-ray diffraction stick pattern in this record (a wavelength of 1.5418 Å).
Kinematic intensities with the Lorentz-polarization factor, no thermal factor.

Structural model:
```
data_Ca4Hg3Bi8
_chemical_formula_sum 'Ca4 Hg3 Bi8'
_symmetry_space_group_name_H-M 'P -4 m 2'
_symmetry_Int_Tables_number 115
_symmetry_space_group_name_Hall 'P -4 -2'
_cell_length_a 4.745
_cell_length_b 4.745
_cell_length_c 20.118
_cell_angle_alpha 90.00
_cell_angle_beta 90.00
_cell_angle_gamma 90.00
loop_
_atom_site_label
_atom_site_fract_x
_atom_site_fract_y
_atom_site_fract_z
Ca1 0.000 0.500 0.112
Ca2 0.000 0.500 0.622
Hg1 0.000 0.000 0.000
Hg2 0.000 0.000 0.500
Hg3 0.500 0.500 0.500
Bi1 0.000 0.000 0.246
Bi2 0.000 0.500 0.389
Bi3 0.000 0.500 0.906
Bi4 0.500 0.500 0.245
```

Top 10 peaks for 2θ from 10° to 90°, by intensity:
32.07 deg, rel. 100, (1 1 4); 37.93 deg, rel. 39, (2 0 0); 64.85 deg, rel. 28, (3 1 4); 20.70 deg, rel. 23, (1 0 2); 53.07 deg, rel. 21, (2 0 8); 54.72 deg, rel. 15, (2 2 0); 35.70 deg, rel. 13, (0 0 8); 61.86 deg, rel. 9, (1 1 12); 26.58 deg, rel. 8, (0 0 6); 67.07 deg, rel. 8, (2 2 8)

---

Q: Number 1 is which compound?
A: CaLaY2

---

Q: Which formula does entry 2 have?
A: Ca4Hg3Bi8

---

What did the second record say?
For Ca4Hg3Bi8, a crystal structure in Alexandria, relaxed with GGA-PBE gives the simulated X-ray diffraction stick pattern in this record (a wavelength of 1.5418 Å).
Kinematic intensities with the Lorentz-polarization factor, no thermal factor.

Structural model:
```
data_Ca4Hg3Bi8
_chemical_formula_sum 'Ca4 Hg3 Bi8'
_symmetry_space_group_name_H-M 'P -4 m 2'
_symmetry_Int_Tables_number 115
_symmetry_space_group_name_Hall 'P -4 -2'
_cell_length_a 4.745
_cell_length_b 4.745
_cell_length_c 20.118
_cell_angle_alpha 90.00
_cell_angle_beta 90.00
_cell_angle_gamma 90.00
loop_
........
# Back to the piece

issues: GE revisions , EE inaccuracies

b. 90

composition: Op. 64 No 2, Waltz in C♯ minor

Dotted rhythm in As & A (→FEGE,EE)

Crotchets in AI


The variant version of AI may prove Chopin's hesitation, as long as the dotted rhythm in As was not added later than AI was developed.

category imprint: Differences between sources; Corrections & alterations

issues: Chopin's hesitations , Dotted or even rhythm